- Time series forecasting (시계열 예측)
- the input is sequence and the output is single value
- Sentiment classification
- Translation
- input and output are both sequence
- Speech recognition and generation
- Text or music generation
- Question Answering
- the input is text and the output is a subset of text
- one to many (single input & sequence output)
- many to one (sequence input & single output)
- many to many (sequence input & sequence output)
> Problem 1 : variable length inputs
임의의 길이를 가진 input을 잘 처리하지 못한다는 단점이 있다. 이를 해결하기 위해 max length에 맞춰서 empty value를 padding하는 방법이 있다.
> Problem 2 : memory scaling
만일 sequence의 max length를 늘리게 되면 multiply해야 하는 matrix의 크기도 함께 커진다 -> undesirable scaling
> Problem 3 : overkill
sequence에서 pattern을 파악하려고 할 때 특정 input은 특정 output과 상관관계가 있을 것이다.
이 때 model은 이러한 상관관계를 위한 weight을 학습해야 한다 -> data ineffieicnt
- every position in the sequence에 대해 독립적인 weights을 곱하는 single massive matrix 대신 stateful computation을 사용
## The entry is interrupted by crystal structures
-- begin --
# Sn4Pd, relaxed, DFT PBE
# - final energy (eV per atom) = -4.48
data_Sn4Pd
_symmetry_space_group_name_H-M 'P 1'
_symmetry_Int_Tables_number 1
_symmetry_space_group_name_Hall 'P 1'
_cell_length_a 6.687
_cell_length_b 6.687
_cell_length_c 6.530
_cell_angle_alpha 90.00
_cell_angle_beta 90.00
_cell_angle_gamma 121.23
loop_
_atom_site_label
_atom_site_type_symbol
_atom_site_fract_x
_atom_site_fract_y
_atom_site_fract_z
_atom_site_occupancy
Sn1 Sn 0.047 0.294 0.079 1
Sn2 Sn 0.206 0.453 0.579 1
Sn3 Sn 0.294 0.047 0.579 1
Sn4 Sn 0.453 0.206 0.079 1
Sn5 Sn 0.547 0.794 0.921 1
Sn6 Sn 0.706 0.953 0.421 1
Sn7 Sn 0.794 0.547 0.421 1
Sn8 Sn 0.953 0.706 0.921 1
Pd1 Pd 0.250 0.750 0.250 1
Pd2 Pd 0.750 0.250 0.750 1


# AcEuAu2, relaxed, DFT PBE
# - final energy (eV per atom) = -6.02
data_AcEuAu2
_symmetry_space_group_name_H-M 'P 1'
_symmetry_Int_Tables_number 1
_symmetry_space_group_name_Hall 'P 1'
_cell_length_a 5.491
_cell_length_b 5.491
_cell_length_c 5.491
_cell_angle_alpha 60.00
_cell_angle_beta 60.00
_cell_angle_gamma 60.00
loop_
_atom_site_label
_atom_site_type_symbol
_atom_site_fract_x
_atom_site_fract_y
_atom_site_fract_z
_atom_site_occupancy
Ac1 Ac 0.000 0.000 0.000 1
Eu1 Eu 0.500 0.500 0.500 1
Au1 Au 0.250 0.250 0.250 1
Au2 Au 0.750 0.750 0.750 1


# CeDyZn2, relaxed, DFT PBE
# - total moment (μB/cell) = 1.04
# - final energy (eV per atom) = -3.53
data_CeDyZn2
_symmetry_space_group_name_H-M 'P 1'
_symmetry_Int_Tables_number 1
_symmetry_space_group_name_Hall 'P 1'
_cell_length_a 5.111
_cell_length_b 5.111
_cell_length_c 5.111
_cell_angle_alpha 60.00
_cell_angle_beta 60.00
_cell_angle_gamma 60.00
loop_
_atom_site_label
_atom_site_type_symbol
_atom_site_fract_x
_atom_site_fract_y
_atom_site_fract_z
_atom_site_occupancy
Ce1 Ce 0.000 0.000 0.000 1
Dy1 Dy 0.500 0.500 0.500 1
Zn1 Zn 0.250 0.250 0.250 1
Zn2 Zn 0.750 0.750 0.750 1


# Er2MgSe4, relaxed, DFT PBE
# - energy relative to the lowest polymorph listed for this composition (meV/atom) = 101
# - total moment (μB/cell) = 0.00
# - final energy (eV per atom) = -5.12
data_Er2MgSe4
_symmetry_space_group_name_H-M 'P 1'
_symmetry_Int_Tables_number 1
_symmetry_space_group_name_Hall 'P 1'
_cell_length_a 7.502
_cell_length_b 7.502
_cell_length_c 7.502
_cell_angle_alpha 110.37
_cell_angle_beta 110.37
_cell_angle_gamma 107.68
loop_
_atom_site_label
_atom_site_type_symbol
_atom_site_fract_x
_atom_site_fract_y
_atom_site_fract_z
_atom_site_occupancy
Er1 Er 0.007 0.625 0.882 1
Er2 Er 0.375 0.257 0.382 1
Er3 Er 0.743 0.125 0.118 1
Er4 Er 0.875 0.993 0.618 1
Mg1 Mg 0.250 0.750 0.500 1
Mg2 Mg 0.500 0.500 0.000 1
Se1 Se 0.009 0.879 0.259 1
Se2 Se 0.121 0.380 0.130 1
Se3 Se 0.130 0.371 0.630 1
Se4 Se 0.251 0.991 0.870 1
Se5 Se 0.499 0.870 0.241 1
Se6 Se 0.620 0.749 0.741 1
Se7 Se 0.629 0.259 0.759 1
Se8 Se 0.741 0.501 0.370 1


# GdI3O11, relaxed, DFT PBE
# - total moment (μB/cell) = 22.00
# - final energy (eV per atom) = -5.36
data_GdI3O11
_symmetry_space_group_name_H-M 'P 1'
_symmetry_Int_Tables_number 1
-- stop --
## So much for the crystal structures
- model의 output은 current time step in the sequence에서의 input에 따라 달라진다
- each time step에서 input에 따라 해당 time step에 대한 output과 next hidden state을 출력
- starting hidden state인 h0가 존재.
- 첫번째 input x1을 받은 model이 h0와 x1을 계산하여 첫번째 output y1와 second hidden state h1을 생성한다.
- 각각의 subsequent time step에서 2와 동일한 계산 과정을 거친다.
class RNN:
def compute_next_h(self, x):
# Simple hidden state computation
h = np.tahn(self.W_hh.dot(self.h) + self.W_xh.dot(x))
return h
# this function gets called every single time the model sees a new input
def step(self, x):
# update (next) hidden state
self.h = self.compute_next_h(x)
# compute the output vector
y = self.W_hy.dot(self.h)
return y
> A look at compute_next_h function
- 2개의 input : property of this class (previous hidden state h_t-1) & input of time step x_t
- 2개를 더해서 activation function(tahn)으로 wrap up
- Goal : handle long sequences
- Connect events from the past to outcomes in the future
- i.e., Long-term dependencies
- e.g., remember the name of a character from the first sentence
- Can't handle more than 10-20 timesteps
- Longer-term dependencies get lost
- WHY? Vanishing Gradients
- sigmoid, tanh ; input 커질수록 derivative 값이 0에 수렴 -> 기울기 소실이 발생
- ReLU : exploding gradients (gradients tend to get too big)
class LSTM(RNN):
# ...
def compute_next_h(self, x):
h = lstm(x, self.h)
# or gru(x, self.h), etc.
return h
# ...
- What problem are they trying to solve?
- What model architecture was used?
- What loss function was used?
- What dataset was it trained on?
- How did they do training?
- What tricks were needed for inference in depolyment?
- Google’s Neural Machine Translation System: Bridging the Gap between Human and Machine Translation (Wu et al., 2016)
- Summary of GNMT approach
- Stacked LSTM encoder-decoder architecture with residual connections
- Attention enables longer-term connections
- To encode future information in the source sentence use a bidirectional LSTM
- Train using standard cross-entropy on a large dataset
- Speed up inference with quantization of weights
- The Goal
- The Idea
- CTC Loss
- Encoder/Decoder LSTM architectures can model arbitray (one-to-many, many-to-one, many-to-many) sequence problems
- Many successes in NLP and other applications
- Recurrent network training is not as parallelizable as FC or CNN, due to the need to go in sequence
- Therefore much slower!
- Also can be finicky to train
- Convolutional approach to sequence data modeling
- Next lecture, all-fully-connected Transformer models
- Primary drawback of WaveNet: although training is parallel, inference is serial
- Followup paper introduced fast, parallel synthesis version of WaveNet: Parallel WaveNet
Summary of WaveNet approach
- Another way of dealing with long-term dependencies is to do away with recurrent networks altogether
- Instead, you can use a form of 1d convolutions called causal convolutions
- To increase the receptive field of causal convolutions, can used dilated causal convolutions
- In addition to long-term dependencies, main advantage of WaveNet is fast parallel training
- Tradeoff is slow inference time, which can be mitigated through the parallel WaveNet approach